Monday, December 20, 2010
Gov. Bill Richardson Brokers Deal with North Korea for Return of UN Inspectors and More
Today, CNN reported that, "North Korea has agreed with US troubleshooter Bill Richardson to permit the return of UN nuclear inspectors as part of a package of measures to ease tensions on the peninsula."
Also today, Governor Richardson released the following statement about his visit to North Korea and the news that the country will not retaliate for military drills carried out today by South Korea.
"I am very encouraged by the news that North Korea will not react militarily to South Korea's drills,” Governor Richardson said. “During my meetings in Pyongyang, I repeatedly pressed North Korea not to retaliate. The result is that South Korea was able to flex its muscles, and North Korea reacted in a statesmanlike manner. I hope this will signal a new chapter and a round of dialogue to lessen tension on the Korean peninsula."
Governor Richardson said he reached agreement on the following three points during several meetings with top North Korean leaders:
Between two parts of the entry: records of molecules:
ORCA calculation (ωB97M-V with the def2-TZVPD basis set) on a cluster of 6 separate species, C32H34Cl2 in total in a non-equilibrium geometry.

Each line ends with the natural charge from an NBO analysis.
Element x y z (Å)
1 C 3.69 -1.40 -4.82  -0.21
2 C 4.51 -0.63 -5.66  -0.21
3 C 4.94 0.69 -5.31  -0.22
4 C 4.33 1.29 -4.23  -0.21
5 C 3.38 0.58 -3.50  -0.22
6 C 3.08 -0.71 -3.77  -0.22
7 H 3.47 -2.45 -5.01  0.22
8 H 4.89 -1.11 -6.56  0.21
9 H 5.53 1.25 -6.04  0.22
10 H 4.56 2.35 -4.01  0.22
11 H 2.83 1.06 -2.70  0.22
12 H 2.25 -1.21 -3.28  0.21
13 C -1.10 -0.94 5.73  -0.22
14 C -0.01 -0.27 5.22  -0.21
15 C 0.00 1.08 5.01  -0.23
16 C -1.13 1.85 5.39  -0.20
17 C -2.24 1.17 5.87  -0.22
18 C -2.21 -0.22 6.03  -0.20
19 H -0.93 -2.02 5.91  0.22
20 H 0.85 -0.91 5.05  0.21
21 H 0.90 1.60 4.73  0.21
22 H -1.07 2.91 5.32  0.21
23 H -3.07 1.74 6.14  0.21
24 H -3.07 -0.73 6.46  0.21
25 C -0.37 1.64 -4.68  -0.20
26 C -1.10 2.42 -5.62  -0.21
27 C -2.26 3.04 -5.22  -0.22
28 C -2.67 3.07 -3.89  -0.20
29 C -2.01 2.29 -2.95  -0.24
30 C -0.87 1.63 -3.34  -0.22
31 H 0.53 1.20 -5.08  0.23
32 H -0.73 2.60 -6.63  0.21
33 H -2.76 3.71 -5.88  0.21
34 H -3.57 3.70 -3.67  0.21
35 H -2.44 2.24 -1.96  0.22
36 H -0.32 1.05 -2.63  0.22
37 C -2.05 -0.72 -0.47  -0.21
38 C -0.74 -1.06 -0.89  -0.22
39 C 0.35 -0.95 -0.03  -0.21
40 C 0.19 -0.23 1.17  -0.22
41 C -1.07 0.19 1.56  -0.23
42 C -2.24 -0.08 0.75  -0.21
43 H -2.83 -1.08 -1.09  0.22
44 H -0.58 -1.50 -1.87  0.21
45 H 1.38 -1.15 -0.37  0.22
46 H 1.10 -0.06 1.79  0.22
47 H -1.19 0.54 2.58  0.23
48 H -3.21 0.12 1.08  0.21
49 C 0.06 -5.52 4.17  -0.20
50 C -0.15 -4.13 3.99  -0.22
51 C -0.93 -3.71 2.91  -0.21
52 C -1.52 -4.63 2.03  -0.20
53 C -1.39 -5.99 2.28  -0.21
54 C -0.54 -6.45 3.29  -0.22
55 H 0.67 -5.88 4.96  0.21
56 H 0.40 -3.43 4.54  0.20
57 H -0.93 -2.66 2.61  0.22
58 H -2.10 -4.35 1.17  0.21
59 H -1.87 -6.73 1.66  0.21
60 H -0.46 -7.52 3.40  0.21
61 Cl 0.71 6.02 -1.25  -0.05
62 C -0.08 4.59 -0.59  -0.42
63 C 0.82 3.77 0.35  -0.37
64 Cl 2.08 2.80 -0.50  -0.09
65 H -0.42 4.02 -1.53  0.25
66 H -0.93 4.84 0.01  0.22
67 H 0.25 2.98 0.90  0.24
68 H 1.42 4.39 1.01  0.23

Output
- max |F| (Eh/bohr) = 0.0540
- SMILES string = c1ccccc1.c1ccccc1.c1ccccc1.c1ccccc1.c1ccccc1.ClCCCl
- energy (eV) = -58778.9583
- energy relative to the best compared isomer or geometry (same formula, charge and spin) (kcal per mole) = 0.0
- total charge = 0
- LUMO level (eV) = 0.609

=====

ORCA calculation (ωB97M-V with the def2-TZVPD basis set) on an isolated molecule of CH5N2PS in a non-equilibrium geometry.

Each line ends with the natural charge from an NBO analysis.
Element x y z (Å)
1 C -1.07 -0.45 -1.12  -0.51
2 N -1.04 0.88 -0.44  -0.01
3 N -0.12 1.27 0.27  -0.48
4 P 1.01 0.31 1.07  0.94
5 S 0.39 -1.05 2.32  -0.57
6 H -1.97 -0.47 -1.70  0.23
7 H -0.76 -1.31 -0.47  0.23
8 H -0.19 -0.22 -1.69  0.23
9 H 1.77 1.18 1.78  -0.03
10 H 1.98 -0.13 -0.01  -0.04

Output
- max |F| (Eh/bohr) = 0.0604
- SMILES string = C/N=N\[PH2]=S
- energy (eV) = -24219.8488
1. Allowing IAEA monitors access to North Korea's uranium enrichment facility.
2. Negotiating a deal for a third party, such as South Korea, to buy fresh-fuel rods from North Korea.
3. Discussing a military commission consisting of representatives from North Korea, South Korea and the United States to monitor and prevent conflicts in the disputed areas of the West Sea. Additionally, creating a hot line between the North Korean and South Korean militaries to avert potential crises.
CNN also reported that Major General Pak Rim-Su, who leads North Korean forces along the tense border with the South, told Richardson that North Korea had recovered the remains of several hundred US servicemen killed during the 1950-1953 Korean War and offered to help secure their return to the United States.
Gov. Richardson was supposed to catch a flight from North Korea to Beijing earlier today (yesterday in North Korea) on his way back to New Mexico, but People's Daily is reporting that the flight was canceled due to heavy fog. CNN's Wolf Blitzer, who traveled with the governor to North Korea, said, "I've never seen such thick fog; and everyone who witnessed it, including our North Korean handlers, said it was the worst fog they'd ever been in." Gov. Richardson got on a (the next day, 12/21 in Korea) and is now in Beijing.
As for the extra night in Pyongyang, Blitzer had this to say:
And here's something you probably never thought you'd hear: What exactly are we doing to kill some time on this extra night in Pyongyang? We're at a karaoke bar singing all the best, latest great hits of the '70s including "Hotel California" and "Tie a Yellow Ribbon Round the Ole Oak Tree". Gov. Bill Richardson didn't sing, instead he was smoking a big fat cigar, enjoying The Eagles.
[Attached: molecular data]
69
Properties=species:S:1:pos:R:3:forces:R:3:lowdin_charge:R:1 method="wB97M-V/def2-TZVPD" de_lowest_kj_mol=84.7 charge=+3 multiplicity=6 s2=8.789 gap_ev="8.84 / 6.16"
Ir 0.341078 1.722331 1.061085 -0.093 -0.040 -0.013 0.46
S 1.267466 -5.985098 -0.289854 0.001 -0.152 -0.065 0.95
S 2.700167 2.094108 1.361038 0.079 0.018 0.008 0.83
S 0.080853 2.442879 3.364788 0.032 -0.013 0.031 0.83
S -3.559899 2.705042 0.177028 0.033 0.006 0.017 0.86
S -0.202462 -0.450251 0.561512 -0.054 0.198 0.063 0.62
S 0.085410 3.995580 0.373014 -0.009 -0.039 0.009 0.78
N 0.308371 -8.261662 -1.265240 -0.008 -0.009 0.020 -0.18
N -2.926318 -0.562464 0.911658 -0.023 -0.035 -0.021 -0.01
N -1.815257 -0.814337 2.773411 -0.001 0.039 -0.003 -0.11
N 2.540387 -8.276350 -0.601785 0.005 0.011 -0.012 -0.18
N -2.519630 2.659244 -2.318761 0.010 -0.007 0.004 -0.10
N -2.766367 0.655339 -1.413889 0.004 0.033 0.014 0.00
C -0.144125 4.261653 3.200042 -0.006 -0.012 -0.015 -0.43
C 1.815003 4.573761 0.377182 0.006 0.026 -0.014 -0.45
C 2.777382 3.923121 1.364022 -0.007 -0.011 -0.004 -0.44
C -0.691396 4.705865 1.853671 0.001 0.005 -0.003 -0.47
C -1.701829 -0.593777 1.443447 -0.002 -0.076 -0.016 -0.67
C 1.784038 2.346413 4.043537 -0.004 0.011 0.009 -0.44
C 3.826932 -7.575636 -0.529202 -0.005 0.002 0.023 -0.05
C 1.376839 -7.651989 -0.770848 0.037 -0.024 0.014 -0.69
C -2.621164 4.101794 -2.530895 -0.014 0.002 0.006 0.01
C -3.147538 -0.922223 3.081861 -0.006 -0.012 -0.008 0.00
C -2.944704 1.997349 -1.179381 -0.010 0.034 0.002 -0.75
C 2.611553 -9.704660 -0.263593 0.002 -0.010 -0.011 -0.01
C -1.046211 -7.723755 -1.109846 -0.009 0.000 0.005 -0.05
C -3.830858 -0.764649 1.920822 -0.016 0.117 0.027 -0.02
C 0.421786 -9.391505 -2.198769 0.005 0.004 -0.019 0.00
C -2.238866 0.503821 -2.630119 -0.014 0.011 -0.028 0.01
C -2.084529 1.760296 -3.209792 -0.008 -0.012 0.000 0.04
C -0.740051 -1.007000 3.735954 0.008 -0.014 0.002 -0.02
C 2.824959 1.704547 3.129574 -0.002 -0.002 -0.009 -0.47
B -3.390260 -0.541319 -0.590981 0.005 -0.038 0.005 -0.40
H -4.574142 -0.370933 -0.576235 -0.009 -0.062 -0.005 0.09
H -1.298431 -7.062201 -1.939693 0.000 -0.004 -0.004 0.11
H -1.740632 -8.560773 -1.107287 0.002 -0.003 0.007 0.11
H -2.219388 4.330905 -3.513352 0.005 0.002 0.003 0.11
H -3.664828 4.402380 -2.480430 0.001 -0.003 0.000 0.11
H -0.710756 -2.047859 4.052502 -0.002 0.001 0.001 0.11
H -1.736384 4.416120 1.734574 -0.015 0.008 0.001 0.05
H 0.813307 4.729638 3.413252 -0.004 0.007 0.005 0.08
H 2.747074 0.617169 3.145458 0.003 0.000 0.004 0.08
H -1.717970 2.034498 -4.184862 -0.002 -0.004 -0.001 0.15
H 0.153066 -10.332388 -1.720828 -0.005 0.002 0.002 0.11
H -1.139410 -7.192746 -0.166407 0.005 0.004 -0.003 0.07
H -2.057767 4.626072 -1.763987 0.007 -0.001 0.003 0.07
H 4.564452 -8.177639 -1.056990 0.001 -0.002 0.004 0.11
H 3.269925 -9.806885 0.597875 0.005 0.001 -0.005 0.11
H 1.431078 -9.451103 -2.594532 0.000 -0.001 0.006 0.10
H 1.629437 -10.080278 0.004106 -0.002 0.004 0.005 0.10
H -0.913465 -0.371894 4.602291 0.003 0.007 -0.005 0.10
December 20, 2010 at 06:04 PM in Gov. Bill Richardson, International Relations, Military Affairs, North Korea, Nuclear Arms, Power | |